Category Archives: The Bent Tree Path

Some Cherokee Tidbits

Some Cherokee Tidbits

A few years ago, I had the privilege to travel in and around Cherokee, North Carolina. My daughter and I chose to spend a morning at the Museum of the Cherokee Indian. Here we not only met but also sat and listened to a great storyteller and renowned Beloved Man, Jerry Wolfe. Mr. Wolfe was 92 years young at the time, the first man to have received the honorable title ‘Beloved Man’ among Cherokee in over 200 years. It was well-deserved. He was a World War II veteran, a survivor of D-Day on Normandy, a stonemason who lay stone throughout the Smoky Mountains, and a dedicated volunteer who spent time with children, teaching them Cherokee stories, language, ways and games. He volunteered daily in the museum, greeting visitors and giving talks. That’s where we mer him. His interest shifted readily from what he was reading (a New Testament, written in Cherokee language Tsalgi) to the visitors entering the museum.

Jerry Wolfe Cherokee Beloved man cropped

Yours truly with Beloved Man Jerry Wolfe, a year before his passing.

He told us delightful stories. He shared traditional Cherokee stories, woven like fables, with funny twists and important lessons.

After listening to his wonderful stories, we slowly meandered through the museum. Here we found a beautiful talking stone with the Cherokee syllabary engraved and backlit. As each “letter” lit up, museum visitors heard a recording of its sound.

Did you know that rather than an alphabet, the Cherokee have a syllabary? What’s a syllabary, you ask? A syllabary is a set of syllables that make up the language. The Cherokee syllabary was developed and published between 1815 and 1821 by Sequoyah (English name George Guess). After trying to devise pictures for each Cherokee word, he realized the task was too much. Instead, he thought long and hard about the syllables that made up each word and identified 86. This made symbol creation feasible. He soon taught his brother and daughter the new form of communication.

Before long, Sequoyah was arrested and stood trial for sorcery, which could have been the end of him. During the trial, his people saw that he and his daughter were able to communicate with one another by making symbols on pieces of paper. His captors soon helped him spread the news to their people.

As it turns out, the syllabary is a remarkably easier way to learn to read and write a language. Students learning the syllable forms could learn to read and write in a few weeks as compared to our years of study. Within a matter of months, a great number of Cherokee in this time became literate. By 1824 most Cherokees could read and write using this syllabary. By 1828 both the Cherokee Phoenix and the Cherokee Advocate, regularly published newspapers, employed this syllabary and publishers in Boston worked toward translating it into print for the Bible and other notable works.

It is the language of some of my ancestors, but it is long forgotten in my family’s line. It is a language of harmony with nature, with one another, and with the Great Spirit. It is a language that is coming back again.

For too long, Cherokee, as other indigenous peoples to this land, were suppressed. Our American forefathers forced them into schools in an effort to eradicate their language and culture. As recently as the 1900’s, our government leaders and respected professionals took part in what was no more than a witch-hunt to identify and isolate from mainstream white America any who were part “Indian,” and categorizing them as Blacks, discriminating equally against the two groups so they could not receive government assistance, schooling or medical care.

Imagine what that would be like to us today, to have a foreign invader come and force their way upon us–or death. It is incomprehensible. Yet this is what happened to the indigenous people, here, in America, when this country, which stands for freedom, began.

It is no wonder that so many Cherokee and other indigenous people found refuge by blending in with their European spouses and families, and kept their heritage to themselves. It was a matter of survival, a matter of securing their hope for the future; for their children.

All the years of oppression left the Cherokee in a poor state, with rampant alcoholism, poverty and poor health. This is the stereotype. But they are returning. Their pride is returning. Their language is returning. Their culture is returning. There is something special about this people. They hold truths which will be vital in restoring our nation–even our world.

Tell me–are you descended from indigenous people in America? How has that deepened or enriched your life? I’d love to hear your stories, heart to heart.

Joan T. Warren



Addendum: As an occupational therapist, I’ve been privileged to help many a child master writing the alphabet, sentences and paragraphs. If you’d like to see another alphabet photo challenge, visit my newest blog, OT Interactions.

Blue-pencil Time

Blue-pencil Time

So many of us here, who follow each other’s blogs, are writers who want to publish. Others are writers who just want a place to express, create, share and sometimes just vent.

I’m both. I’ve enjoyed times here when I’ve been very active on WordPress. I’ve taken breaks and focused more on other things, including personal writing. Around 2010, a concept for a novel twinkled my eye. I set out on the journey, and the journey took so many more years than anticipated. But folks, it’s almost ready!

With only a couple of chapters left of the first draft, this thing is a monster! If I were to format it for your basic paperback, it would be nearly a thousand pages. That’s too big! Who wants to read a book that thick? I usually won’t. So, soon I’ll approach blue-pencil time. Time to edit. Cut. Rearrange. Re-phrase. Clean it up.

### Misplaced materials data
Diffraction record for EuSi6. The powder diffractogram is computed, not measured: it uses a DFT-relaxed cell (GGA-PBE, Alexandria) and Cu Kα.

Largest 10 diffraction maxima, in order of rising 2θ, 2θ from 10° to 90°:
| 2θ/deg | Rel. int. | h k l |
| --- | --- | --- |
| 15.31 | 33 | 0 0 2 |
| 17.22 | 26 | 0 2 0 |
| 23.15 | 90 | 1 1 1 |
| 31.96 | 100 | 1 1 3 |
| 33.93 | 60 | 1 3 1 |
| 34.85 | 23 | 0 4 0 |
| 35.59 | 59 | 0 2 4 |
| 40.70 | 52 | 2 0 0 |
| 54.62 | 29 | 2 4 0 |
| 55.20 | 42 | 2 2 4 |

Cell and atoms:
```
data_EuSi6
_cell_length_a 4.4309
_cell_length_b 10.2990
_cell_length_c 11.5726
_cell_angle_alpha 90.00
_cell_angle_beta 90.00
_cell_angle_gamma 90.00
_symmetry_space_group_name_H-M 'C m c m'
_symmetry_Int_Tables_number 63
_symmetry_space_group_name_Hall '-C 2c 2'
loop_
_atom_site_label
_atom_site_fract_x
_atom_site_fract_y
_atom_site_fract_z
_atom_site_occupancy
Eu1 0.0000 0.2195 0.2500 1
Si1 0.0000 0.0604 0.6478 1
Si2 0.0000 0.2547 0.5387 1
Si3 0.0000 0.4777 0.6034 1
```



Diffraction record for Ac2BeBi. The powder diffractogram is computed, not measured: it uses a DFT-relaxed cell (GGA-PBE, Alexandria) and Cu Kα.

Largest 10 diffraction maxima, in order of rising 2θ, 2θ from 10° to 90°:
| 2θ/deg | Rel. int. | h k l |
| --- | --- | --- |
| 16.05 | 22 | 1 0 0 |
| 22.77 | 13 | 1 1 0 |
| 26.45 | 14 | 1 0 1 |
| 31.09 | 100 | 1 1 1 |
| 32.43 | 45 | 2 0 0 |
| 46.51 | 17 | 2 2 0 |
| 54.45 | 21 | 2 0 2 |
| 57.01 | 37 | 3 1 1 |
| 64.82 | 13 | 2 2 2 |
| 88.90 | 12 | 3 1 3 |

Cell and atoms:
```
data_Ac2BeBi
_cell_length_a 5.5222
_cell_length_b 5.5222
_cell_length_c 4.2545
_cell_angle_alpha 90.00
_cell_angle_beta 90.00
_cell_angle_gamma 90.00
_symmetry_space_group_name_H-M 'P 4/m m m'
_symmetry_Int_Tables_number 123
_symmetry_space_group_name_Hall '-P 4 2'
loop_
_atom_site_label
_atom_site_fract_x
_atom_site_fract_y
_atom_site_fract_z
_atom_site_occupancy
Ac1 0.0000 0.5000 0.0000 1
Be1 0.0000 0.0000 0.5000 1
Bi1 0.5000 0.5000 0.5000 1
```



Diffraction record for TbAl4Ni4. The powder diffractogram is computed, not measured: it uses a DFT-relaxed cell (GGA-PBE, Alexandria) and Cu Kα.

Largest 10 diffraction maxima, in order of rising 2θ, 2θ from 10° to 90°:
| 2θ/deg | Rel. int. | h k l |
| --- | --- | --- |
| 22.92 | 76 | 1 0 1 |
| 30.93 | 62 | 2 2 0 |
| 31.79 | 100 | 2 1 1 |
| 34.69 | 93 | 3 1 0 |
| 40.94 | 47 | 0 0 2 |
| 44.95 | 52 | 3 2 1 |
| 50.46 | 71 | 1 4 1 |
| 52.18 | 28 | 2 2 2 |
| 54.72 | 49 | 3 1 2 |
| 60.37 | 18 | 4 3 1 |

Cell and atoms:
```
data_TbAl4Ni4
_cell_length_a 8.1764
_cell_length_b 8.1764
_cell_length_c 4.4092
_cell_angle_alpha 90.00
_cell_angle_beta 90.00
_cell_angle_gamma 90.00
_symmetry_space_group_name_H-M 'I 4/m'
_symmetry_Int_Tables_number 87
_symmetry_space_group_name_Hall '-I 4'
loop_
_atom_site_label
_atom_site_fract_x
_atom_site_fract_y
_atom_site_fract_z
_atom_site_occupancy
Tb1 0.0000 0.0000 0.0000 1
Al1 0.1053 0.6179 0.5000 1
Ni1 0.1858 0.6882 0.0000 1
```

I’m turning to you, my fellow bloggers and readers. How have you managed parting with your treasured paragraphs? How have you ensured your books are concise and on point, while also richly laced with delights for the senses? Have you paid beta-readers? Have you paid editors? Do you have family who can be that honest with you about what needs to change? How soon before publishing did you start your pre-release marketing strategies?

Please tell me your experiences rather than your advice. That’s what I’m after. Thanks for following, and thanks for sharing your comments and experiences!

Typing away,

Joan T. Warren

Developing a Mission Statement for Fiction Novel


You can help me decide! Here are a few shorter sentences that I’m developing to help guide revision of the upcoming novel, The Bent Tree Path. Here’s your chance to weigh in! Add, subtract, edit, suggest, negate. . . be involved.

A mission statement for a fiction novel helps the self-editing process. It serves as a filter to revise each scene and chapter: if they don’t significantly support the mission, they don’t belong.

**Between two parts of the piece: records of crystals**
[1]
For Li4V3Fe3W2O16, the PBE+U geometry in the Materials Project gives the computed X-ray diffraction stick pattern in this record (Cu Kα).
Intensities are scaled so that the largest is 100.

```
Li4V3Fe3W2O16
1.0
6.0020 0.0000 0.0000
-2.9901 5.2574 0.0000
-0.0249 -0.0269 9.7888
Li V Fe W O
4 3 3 2 16
Direct
0.0000 0.0000 0.0000
0.0079 0.0009 0.5021
0.3346 0.6626 0.4135
0.6677 0.3271 0.9168
0.1858 0.3479 0.7295
0.3425 0.1661 0.2258
0.8302 0.1690 0.2261
0.1719 0.8364 0.7205
0.6685 0.8348 0.7214
0.8294 0.6538 0.2282
0.3333 0.6661 0.9977
0.6770 0.3414 0.5005
0.0155 0.0305 0.8132
0.0428 0.5046 0.8667
0.1656 0.8171 0.1021
0.1736 0.3393 0.1053
0.3199 0.6374 0.6243
0.3417 0.1900 0.6041
0.4678 0.5012 0.8663
0.4810 0.9515 0.8767
0.5182 0.0370 0.3528
0.5241 0.4774 0.3562
0.6539 0.8152 0.1035
0.6683 0.3332 0.1199
0.8344 0.6715 0.5952
0.8454 0.1912 0.5994
0.9676 0.4815 0.3515
0.9992 0.9945 0.3116
```

Top 6 peaks for 2θ = 10–90°, in order of rising 2θ:
index, 2theta, d/Å, intensity
0 1 1, 19.16, 4.631, 45
1 -1 1, 19.29, 4.601, 100
0 1 -3, 32.29, 2.772, 26
1 0 3, 32.39, 2.764, 25
-1 2 2, 34.89, 2.571, 22
-2 1 2, 35.07, 2.558, 21


[2]
For Li2FeWO6, the PBE+U geometry in the Materials Project gives the computed X-ray diffraction stick pattern in this record (Cu Kα).
Intensities are scaled so that the largest is 100.

```
Li2FeWO6
1.0
5.0685 0.0000 0.0000
-2.4799 4.4790 0.0000
-0.0036 -2.8833 4.5519
Li Fe W O
2 1 1 6
Direct
0.0000 0.0000 0.0000
0.4992 0.0008 0.5089
0.2199 0.4367 0.6496
0.7184 0.4332 0.1486
0.0835 0.5274 0.3653
0.3404 0.2832 0.8644
0.4537 0.2902 0.3723
0.5854 0.9386 0.8769
0.8264 0.9031 0.3576
0.9484 0.5316 0.8697
```

Top 6 peaks for 2θ = 10–90°, in order of rising 2θ:
index, 2theta, d/Å, intensity
0 0 1, 19.50, 4.552, 20
0 1 -1, 20.99, 4.233, 34
0 1 0, 23.51, 3.784, 53
1 0 -1, 24.14, 3.686, 100
1 0 1, 32.83, 2.728, 21
1 1 -3, 54.35, 1.688, 20


Copy entry 1 word for word.
For Li4V3Fe3W2O16, the PBE+U geometry in the Materials Project gives the computed X-ray diffraction stick pattern in this record (Cu Kα).
Intensities are scaled so that the largest is 100.

```
Li4V3Fe3W2O16
1.0
6.0020 0.0000 0.0000
-2.9901 5.2574 0.0000
-0.0249 -0.0269 9.7888
Li V Fe W O
4 3 3 2 16
Direct
0.0000 0.0000 0.0000
0.0079 0.0009 0.5021
0.3346 0.6626 0.4135
0.6677 0.3271 0.9168
0.1858 0.3479 0.7295
0.3425 0.1661 0.2258
0.8302 0.1690 0.2261
0.1719 0.8364 0.7205
0.6685 0.8348 0.7214
0.8294 0.6538 0.2282
0.3333 0.6661 0.9977
0.6770 0.3414 0.5005
0.0155 0.0305 0.8132
0.0428 0.5046 0.8667
0.1656 0.8171 0.1021
0.1736 0.3393 0.1053
0.3199 0.6374 0.6243
0.3417 0.1900 0.6041
0.4678 0.5012 0.8663
0.4810 0.9515 0.8767
0.5182 0.0370 0.3528
0.5241 0.4774 0.3562
0.6539 0.8152 0.1035
0.6683 0.3332 0.1199
0.8344 0.6715 0.5952
0.8454 0.1912 0.5994
0.9676 0.4815 0.3515
0.9992 0.9945 0.3116
```

Top 6 peaks for 2θ = 10–90°, in order of rising 2θ:
index, 2theta, d/Å, intensity
0 1 1, 19.16, 4.631, 45
1 -1 1, 19.29, 4.601, 100
0 1 -3, 32.29, 2.772, 26
1 0 3, 32.39, 2.764, 25
**The piece goes on**

The original mission statement draft, shared last week, was nearly the size of one of Ernest Hemingway’s paragraphs! Now it’s time to simplify. Which of these do you like the best?

  1. Interplay stories of ancestral history with modern life to highlight the importance of, and a pathway toward, healthy relationships with God, self, others, and the earth.
  2. Reveal the secrets of generations of women who grew stronger as they overcame oppression and abuse.
  3. Create a path for future generations to find their way through challenges.
  4. Show how generations effect one another; each personal choice bearing on future generations.

I’d love to hear from you!

Joan T. Warren

Writing Through COVID-19


Hello Faithful Readers!

First, my apologies for leaving you so long! Writing is a hobby for me, and sometimes I fall into placing my beloved hobbies last on my list of things to do!

In the last couple months, though, I’ve been writing a lot more. The COVID-19 scare and distancing orders at first gave me LESS time to write (can you say homeschooling?), but then MORE. Fear of early demise reconnected me to the importance of prioritizing that which is most precious to me. Faith leads me to keep that up even though that fear subsides.

As a result, I’ve been tap-tap-tapping away on the novel I started nearly ten years ago! It’s epic, folks. So far nearly 150,000 words! Which, of course, will get whittled away in the editing process. That’s how I write. I overdo, then slice and dice. I’m in editing mode now, for most of the novel. There are a few chapters yet to write.

An awesome self-editing course I took from Mary Kole set me to creating this novel’s mission statement. A mission statement helps the writer stay on course. Each scene is re-read through the lens of that statement. If it doesn’t support the statement, it either needs to be reworked or sent to the chopping block. The mission statement can also lead into log lines, which help attract you, the readers, to be interested in the book.

So here, I entreat your help! Please take a look at the mission statement and tell me what you think. Does it interest you, bore you? Is it too long, or too wordy, or too whatever? Do tell! It’s better to fix it now than spend another day on something that isn’t worth it.

Here it is:

“Through stories from three centuries, The Bent Tree Path follows ordinary women who overcome oppression, abuse and despair and pave the way for future generations to connect with their rich ancestral heritage, their earthly and spiritual interactions, and their personal and relational health.”

So comment away, no worries about offending me. I can only see through my own eyes unless you share your perspective.

